- What is the Contact Timezone?
- How to Disable Contact Timezone?
- How to Set Your Business’ Timezone (Sub-Account)
- What Contacts Will See When Scheduling
What is the Contact Timezone?
When a contact is scheduling an appointment, they are given the option to select the timezone they reside in so the appointment gets booked for the proper time relative to their schedule.
FOR EXAMPLE: A contact located in New York City schedules an appointment for 5pm with a company located in San Fransisco.
If the contact time zone feature is DISABLED, the appointment will be created for 5pm PST, because that is the time zone in which the HighLevel location resides.
If the contact time zone feature is ENABLED, the appointment would have been created for 5pm EST, since the contact is located in New York, and the business would see an appointment scheduled for 2pm PST.
If you want to remove the ability for contacts to adjust the timezone when scheduling appointments, you can turn this feature off and ONLY allow contacts to schedule appointments in the timezone assigned to the HighLevel sub-account.
How to Disable Contact Timezone?
Disabling the contact timezone will prevent users from scheduling appointments in time zones other than the business’s timezone.
If you have a client whose business is near a timezone border (or maybe the business is in a popular tourist town that receives customers from other time zones), you may want to prevent people from being able to book appointments in their time zones.
To prevent people from being able to book appointments in their time zones, navigate to Settings > Business Profile, then scroll down until you see the “General” section on the right side of the screen and activate the “Disable Contact Timezone” checkbox.
<<<
[1]
# Rb3Pd2F7
Calculated powder XRD pattern, Cu Ka. Input: a structure optimized by DFT (PBE).
No peak broadening, texture or thermal motion is included.

The 10 most intense peaks (10 to 80 degrees two-theta), by angle:
two_theta  d_spacing  Rel. int.
15.77  5.621  11
28.48  3.134  100
28.89  3.091  65
40.11  2.248  16
41.31  2.185  44
50.18  1.818  17
50.94  1.793  40
58.94  1.567  19
59.85  1.545  14
67.80  1.382  11

Cell and atoms:
```
Rb3Pd2F7
1.0
-2.1853 2.1853 11.2415
2.1853 -2.1853 11.2415
2.1853 2.1853 -11.2415
Rb Pd F
3 2 7
Cartesian
0.0000 0.0000 0.0000
0.0000 0.0000 4.1221
0.0000 0.0000 18.3609
0.0000 0.0000 9.0913
0.0000 0.0000 13.3917
2.1853 0.0000 2.1312
0.0000 0.0000 6.9256
2.1853 0.0000 9.1103
0.0000 0.0000 11.2415
0.0000 2.1853 2.1312
0.0000 0.0000 15.5573
0.0000 2.1853 9.1103
```

[2]
# Mg2CdGaAg5
Calculated powder XRD pattern, Cu Ka. Input: a structure optimized by DFT (PBE).
No peak broadening, texture or thermal motion is included.

The 10 most intense peaks (10 to 80 degrees two-theta), by angle:
two_theta  d_spacing  Rel. int.
26.25  3.395  32
31.82  2.813  67
34.58  2.594  45
35.68  2.516  34
38.94  2.313  100
47.82  1.902  22
53.28  1.719  21
59.01  1.565  15
61.49  1.508  14
68.81  1.364  11

Cell and atoms:
```
Mg2CdGaAg5
1.0
-3.9775 3.9775 5.6858
3.9775 -3.9775 5.6858
3.9775 3.9775 -5.6858
Mg Cd Ga Ag
4 2 2 10
Cartesian
4.9212 0.9437 0.0000
0.9437 3.0338 0.0000
3.0338 0.9437 5.6858
-0.9437 3.0338 5.6858
0.0000 0.0000 2.8429
0.0000 0.0000 8.5287
3.9775 0.0000 2.8429
0.0000 3.9775 2.8429
0.0000 0.0000 0.0000
2.4390 1.5385 -1.5119
2.4390 -1.5385 4.1739
2.4390 1.5385 1.5119
2.4390 -1.5385 7.1977
0.0000 0.0000 5.6858
1.5385 5.5160 -1.5119
1.5385 2.4390 4.1739
1.5385 5.5160 1.5119
1.5385 2.4390 7.1977
```

----------

The following is a calculated XRD peak list of NdPuRh. It was derived from a GGA-PBE-relaxed structure, using CuKα.

The 6 most intense peaks (10° ≤ 2θ ≤ 90°), in order of falling intensity:
d 2.841, 31.49 deg, intensity 100
d 2.455, 36.61 deg, intensity 96
d 2.889, 30.95 deg, intensity 67
d 5.769, 15.36 deg, intensity 49
d 3.253, 27.42 deg, intensity 44
d 1.765, 51.80 deg, intensity 42

Structure:
```
data_NdPuRh
_cell_length_a 5.9578
_cell_length_b 4.4573
_cell_length_c 6.0831
_cell_angle_alpha 90.00
_cell_angle_beta 104.47
_cell_angle_gamma 90.00
_symmetry_space_group_name_H-M 'P 1 21/m 1'
_symmetry_Int_Tables_number 11
loop_
_symmetry_equiv_pos_as_xyz
'x,y,z'
'-x,-y,-z'
'-x,y+1/2,-z'
'x,-y+1/2,z'
loop_
_atom_site_label
_atom_site_type_symbol
_atom_site_fract_x
_atom_site_fract_y
_atom_site_fract_z
Nd1 Nd 0.0777 0.2500 0.2772
Pu1 Pu 0.4695 0.2500 0.8271
Rh1 Rh 0.3536 0.7500 0.5666
```

----------

Diffraction record for KP2SeS8. The X-ray powder pattern is theoretical, not measured: it uses the PBE geometry in Alexandria and Cu Kα X-rays.
Lines closer than 0.1° are merged.

Largest 8 diffraction maxima, by angle, 2θ from 10° to 90°:
Position (°2θ)	I (rel.)	h k l
21.1	100.0	1 0 4
27.2	21.3	0 0 9
>>>
Click Here To learn more about BUSINESS PROFILE settings
How to Set Your Business’ Timezone (Sub-Account)
It is very important to have your sub-account’s timezone set properly, especially if you are not allowing contacts to adjust the timezone manually when scheduling.
To view and/or adjust your sub-account’s timezone, navigate to Settings > Business Profile and find the “Time Zone” field located on the right side of the screen under the “Business Physical Address” options.
Click Here To learn more about BUSINESS PROFILE settings
What Contacts Will See When Scheduling
The screenshots below are examples of when your calendars will look like depending on whether you have enabled or disabled the Contact Timezone feature.
Contact Timezone DISABLED
With the “Disable Contact Timezone” box selected, users will no longer see the time zone dropdown selector in the calendar widget (see screenshot below), and all appointments will be made in whatever time zone is set within the location settings.
Contact Timezone ENABLED (default setting)
This screenshot shows the default calendar widget with the timezone preference. By default, the contact timezone is enabled, giving your contacts the ability to change the timezone where the appointment is being scheduled.